December 6, 2018
Next to the entry, the page also holds materials data >
____________
DFT (PBE) results for crystalline Sc5In4Ga at its relaxed geometry.

**Formation energy from the elements**: -464.0 meV per atom
**Total moment**: 0.9 μB per cell
**Final energy**: -5.03 eV/atom

Lattice parameters (Å, degrees): 3.168 3.168 21.693 90.00 90.00 90.00
Space group P4/mmm (No. 123)
Unique sites:
Sc1 0.000 0.000 0.000
Sc2 0.000 0.000 0.206
Sc3 0.000 0.000 0.413
In1 0.500 0.500 0.103
In2 0.500 0.500 0.308
Ga1 0.500 0.500 0.500

=====

DFT (PBE) results for crystalline MgGa3Cu2 at its relaxed geometry.

**Relative energy among the computed polymorphs**: 0.0 meV per atom
**Formation energy from the elements**: -129.3 meV per atom
**Total moment**: 0.0 μB per cell
**Final energy**: -3.27 eV/atom

Lattice parameters (Å, degrees): 3.976 7.883 12.387 90.00 90.00 90.00
Space group Immm (No. 71)
Unique sites:
Mg1 0.000 0.000 0.123
Ga1 0.000 0.205 0.323
Ga2 0.000 0.340 0.000
Cu1 0.000 0.344 0.500
Cu2 0.000 0.500 0.206

=====

DFT (PBE) results for crystalline PRu at its relaxed geometry.

**Relative energy among the computed polymorphs**: 511.8 meV per atom
**Formation energy from the elements**: -49.6 meV per atom
**Total moment**: 0.0 μB per cell
**Final energy**: -7.39 eV/atom

Lattice parameters (Å, degrees): 6.402 6.402 6.402 90.00 90.00 90.00
Space group Pm-3n (No. 223)
Unique sites:
P1 0.000 0.250 0.500
Ru1 0.000 0.500 0.250

=====

DFT (PBE) results for crystalline Al2CuAg2 at its relaxed geometry.

**Relative energy among the computed polymorphs**: 0.0 meV per atom
**Formation energy from the elements**: 82.5 meV per atom
**Total moment**: 0.0 μB per cell
**Final energy**: -3.37 eV/atom

Lattice parameters (Å, degrees): 6.483 6.483 4.025 90.00 90.00 90.00
Space group P4/mbm (No. 127)
Unique sites:
Al1 0.149 0.351 0.000
Cu1 0.000 0.000 0.000
Ag1 0.158 0.658 0.500

=====

DFT (PBE) results for crystalline NdHf2Rh at its relaxed geometry.

**Formation energy from the elements**: -282.8 meV per atom
**Total moment**: 0.0 μB per cell
**Final energy**: -8.29 eV/atom

Lattice parameters (Å, degrees): 3.345 3.345 7.910 90.00 90.00 90.00
Space group P4/mmm (No. 123)
Unique sites:
Nd1 0.000 0.000 0.000
Hf1 0.500 0.500 0.305
Rh1 0.000 0.000 0.500

=====

DFT (PBE) results for crystalline KTmTeO4 at its relaxed geometry.

**Formation energy (no corrections)**: -2.085 eV per atom
**Total moment**: 0.0 μB per cell
**Final energy**: -6.16 eV/atom

Lattice parameters (Å, degrees): 5.860 5.998 7.821 90.00 108.09 90.00
Space group P2_1/m (No. 11)
Unique sites:
K1 0.077 0.250 0.151
Tm1 0.161 0.750 0.460
Te1 0.423 0.250 0.742
O1 0.169 0.011 0.664
O2 0.209 0.750 0.193
O3 0.440 0.250 0.500

~~~~~

# Rb4NiI5

A geometry-optimized Rb4NiI5 structure (GGA-PBE, Alexandria via LeMat-Bulk).

a = 7.4348 Å, b = 8.6883 Å, c = 8.6883 Å
α = 79.45°, β = 64.67°, γ = 64.67°
Positions (direct):
Rb  0.8046  0.7888  0.6125
I  0.7516  0.1668  0.3305
Rb  0.2058  0.2112  0.3875
I  0.0820  0.6695  0.1668
Rb  0.4170  0.3875  0.7888
I  0.9184  0.3305  0.8332
____________
From Pests to Pollinators
By: Jeremy Kranowitz
[Next to the page, the page also holds calculated crystals]
# Mg2CuWO6 | Alexandria via LeMat-Bulk | PBE+U | optimized geometry
data_Mg2CuWO6
_chemical_formula_sum 'Mg2 Cu1 W1 O6'
_cell_length_a 5.154
_cell_length_b 5.239
_cell_length_c 5.701
_cell_angle_alpha 117.21
_cell_angle_beta 90.52
_cell_angle_gamma 118.91
_space_group_name_H-M_alt 'P 1'
_space_group_IT_number 1
_space_group_name_Hall 'P 1'
loop_
_atom_site_label
_atom_site_type_symbol
_atom_site_fract_x
_atom_site_fract_y
_atom_site_fract_z
_atom_site_occupancy
Mg1 Mg 0.000 0.000 0.000 1
Mg2 Mg 0.497 0.992 0.480 1
Cu1 Cu 0.261 0.494 0.745 1
W1 W 0.796 0.593 0.389 1
O1 O 0.065 0.486 0.215 1
O2 O 0.179 0.065 0.679 1
O3 O 0.424 0.160 0.223 1
O4 O 0.608 0.800 0.682 1
O5 O 0.722 0.785 0.208 1
O6 O 0.894 0.492 0.679 1
# - ρ: 5.7 Mg/m³
# - Excess energy over the best structure of this formula in the dataset: 11 meV/atom
# - DFT total energy: -6.386 eV per atom
# - Magnetic moment: 1.0 μB per cell

=====

Tl2FeC2O6: relaxed, PBE+U.

Values from the calculation:
For the total magnetization, the calculation gives 0.364 μB per atom. The volume is 167.9 Å³ per cell. As for the energy: -72.59 eV/f.u. Its crystal system is monoclinic. The calculation puts the density of states at the Fermi level at 0.0000 states/eV/atom.

a b c (Å): 5.2255 5.2255 7.6920
angles (deg): 109.56 109.56 60.09
Closest atoms and distances in Å follow each position.
Fractional coordinates of all 11 atoms:
Tl (0.2182, 0.2182, 0.1565)  6 O 2.86-2.87
Tl (0.7818, 0.7818, 0.8435)  6 O 2.86-2.87
Fe (0.0000, 0.0000, 0.5000)  6 O 2.14-2.17
C (0.3936, 0.3936, 0.6760)  3 O 1.30
C (0.6064, 0.6064, 0.3240)  3 O 1.30
O (0.2522, 0.2522, 0.6819)  1 C 1.30
O (0.2528, 0.6825, 0.6815)  1 C 1.30
O (0.3175, 0.7472, 0.3185)  1 C 1.30
O (0.6825, 0.2528, 0.6815)  1 C 1.30
O (0.7472, 0.3175, 0.3185)  1 C 1.30
O (0.7478, 0.7478, 0.3181)  1 C 1.30
[Back to the page]
Alex Hodge is a member of the 2016 Urban Naturalist Program. She is a senior studying Environmental Management at Indiana University. As a part of the Urban Naturalist team, Alex has the opportunity to work on a variety of green-job inspired projects while tending to Indy’s native landscape.
From watermelon seed spitting contests, to picking flowers to arrange as a centerpiece on the dinner table, the joys we derive from summertime are intrinsically tied to the great outdoors. What we enjoy least, however, are the bites from bugs that irritate our skin. The need for summer breezes blowing through the windows also opens up our homes to what many consider pests, like ants, who like to dine on the bits of neglected food along our counter tops. One man’s crumb, is a measly ant’s dinner, eh? The plot thickens when we revisit what brings many of us joy: the flowers atop the dining room table around the corner from your “pest-infested” kitchen.
By now, many of us are familiar with the concept of pollinators. If not, here is a little review. There are two kinds of plants in this world: self-pollinating and cross-pollinating. The latter plants need birds, bats, and insects to act as vectors in order to move pollen grains from plant to plant (and don’t worry, these ‘grains’ are gluten-free). This motion of pollen-pushing, allows for plants to successfully germinate, grow fruits/seeds, and ultimately reproduce. Pollinators also aid self-pollinating plants although they are not needed; but the presence of pollinators in any ecosystem boosts genetic diversity – which leads us to one big positive feedback loop when it comes to ecology.
Now, let’s revisit those bugs crawling all over the counter-tops in your abode (likely making you feel a bit miffed). Why won’t they just go away? Have you considered that maybe it’s best that they stick around? If you haven’t quite caught my drift … ants are pollinators! Although they are wingless, ants march their six little legs all over the Earth’s ground vegetation. As it turns out, they’re doing our plants a lot of favors.
Ants are unique pollinators. Bear with me here, I’m going to throw quite a big word into the mix: myrmecochory. At the very least, you can tell it to your friends and sound like a real ant expert (although I’m not sure how many of you are sold on that suggestion.) No matter, stripped down to its Greek roots, myrmecochory means “circular dance.” Insect and plant lovers alike understand it to signify the relationship that ants share with plants as prime “seed dispersers.” Seed-dispersal, aided by ants, involves a whopping 11,000 plant species worldwide! Ants lug seeds back to their burrows, eat the edible bits (called an elaiosome), and discard of the seeds – allowing for the seeds to have the chance to spawn a new plant.
There’s a healthy dose of quid pro quo here, so calling it a dance feels quite appropriate to me. Myrmecochory occurs among our woodlands’ floors. Here, spring ephemerals thrive with the aid of ants. A single colony can collect as many as 1,000 seeds in a season – that can lead to significant seed dispersal and establishment. So the next time you feel compelled to squish the little creepy crawler in your home, maybe just let it outside. It has bigger fish to fry.
Join KIB’s Pollinator Count Week at! Use the hashtag #KIBees to take your pollinator pictures on Facebook, Twitter, and Instagram.
Categories: Habitat Restoration